Here are the details of a selection of recent talks I have given. For more information about any of these topics, please get in touch with me.
  • High dimensional data and certifying adversarial robustness
    Machine Learning and Theory Workshop - University of East Anglia (May 2024).
  • The role of geometry an nonlinearity in few-shot learning
    Hora Informaticae - Czech Academy of Sciences (March 2024).
  • Can adversarial robustness be certified for classifiers learning high dimensional data?
    Research Seminar - Charles University, Prague (March 2024).
  • Relative intrinsic dimensionality is intrinsic to learning
    International Conference on Artificial Neural Networks (ICANN) 2023 - Heraklion, Crete (September 2023).
  • A geometric view on the role of nonlinear feature maps in few-shot learning
    Geometric Science of Information (GSI) 2023 - Saint Malo, France (August 2023).
  • Learning from few examples - nonlinearity and dimensionality
    Research Seminar - University of Sydney, Australia (June 2023).
  • Learning from few examples with nonlinear feature maps
    Joint Numerics Seminar at University College London and Imperial College London - Imperial College London, UK (January 2023).
  • Towards a mathematical understanding of learning from few examples with nonlinear feature maps
    Dynamics and Numerical Analysis Seminar - NTNU, Trondheim, Norway (December 2022).
  • Learning from few examples with nonlinear feature maps
    At the SCICADE 2022 conference, in the minisymposium Mathematics of deep learning and structure preserving deep learning - Reykjavik, Iceland (July 2022).
  • A discontinuous Galerkin framework for high order, mesh-based multigroup discrete ordinates schemes for radiation transport
    At the SIAM Geosciences conference, in the minisymposium Advances in Polygonal Methods for Applications in Geoscience - Milan, Italy (June 2021).
  • High order mesh-based multigroup discrete ordinates schemes for the linear Boltzmann transport problem
    Seminar at INRIA - Paris, France (June 2021).
  • Polygonal meshes: a new frontier for finite element methods?
    Invited plenary talk at the British Young Mathematicians Colloquium (BYMC) - University of Birmingham, UK (April 2019).
  • Adaptive polygonal meshes for parabolic problems using virtual element methods
    At the 90th Annual GAMM Meeting in the Young Researchers' Minisymposium Recent advances in Galerkin methods based on polytopal meshes - University of Vienna in Vienna, Austria (March 2019).
  • Virtual elements with adaptive polygonal meshes for parabolic problems
    At the Società Italiana di Matematica Applicata e Industriale Congresso Nazionale (SIMAI) in the minisymposium Recent advances in nonconforming and polygonal methods for partial differential equations - Università di Roma “La Sapienza” in Rome, Italy (July 2018).
  • The cost of large simulations
Materials data, as found in the file =
'''
MnV2BiTe, optimized geometry, DFT PBE; ΔE_f (raw) = 0.7383 eV per atom; calculated volume = 21.79 Å³/atom; uncorrected energy = -6.148 eV/atom; crystal system = tetragonal; space-group type = P4/mmm (123)
1.0
4.712 0.000 0.000
0.000 4.712 0.000
0.000 0.000 4.909
Mn V Bi Te
1 2 1 1
Direct
0.000 0.000 0.000
0.000 0.500 0.000
0.500 0.000 0.000
0.000 0.000 0.500
0.500 0.500 0.500

~~~~~

(1)
A geometry-optimized EuMgSn structure. Source: the Alexandria database, functional GGA-PBEsol.

Unit cell a=7.7692 b=4.7892 c=8.6798 alpha=90.00 beta=90.00 gamma=90.00
Space group Pnma (No. 62)
One atom of each set of equivalent atoms:
Eu (0.0117, 0.2500, 0.1971) [4 per cell]
Mg (0.1586, 0.2500, 0.5705) [4 per cell]
Sn (0.2296, 0.7500, 0.3954) [4 per cell]

Computed properties:
energy of formation	-0.614	eV/atom
uncorrected energy	-6.13	eV per atom
magnetic moment	28.10	μB per cell


(2)
A geometry-optimized EuMgZn2 structure. Source: the Alexandria database, functional GGA-PBEsol.

Unit cell a=6.8860 b=6.8860 c=6.8860 alpha=90.00 beta=90.00 gamma=90.00
Space group Fm-3m (No. 225)
One atom of each set of equivalent atoms:
Eu (0.0000, 0.0000, 0.0000) [4 per cell]
Mg (0.0000, 0.0000, 0.5000) [4 per cell]
Zn (0.2500, 0.2500, 0.2500) [8 per cell]

Computed properties:
energy of formation	-0.256	eV/atom
uncorrected energy	-4.12	eV per atom
magnetic moment	27.53	μB per cell


(3)
A geometry-optimized Eu2MnP3Pt7 structure. Source: the Alexandria database, functional GGA-PBEsol.

Unit cell a=4.0324 b=4.0324 c=26.7764 alpha=90.00 beta=90.00 gamma=90.00
Space group I-4m2 (No. 119)
One atom of each set of equivalent atoms:
Eu (0.0000, 0.0000, 0.1651) [4 per cell]
Mn (0.0000, 0.0000, 0.0000) [2 per cell]
P (0.0000, 0.0000, 0.3792) [4 per cell]
P (0.0000, 0.5000, 0.7500) [2 per cell]
Pt (0.0000, 0.0000, 0.2923) [4 per cell]
Pt (0.0000, 0.0000, 0.5000) [2 per cell]
Pt (0.0000, 0.5000, 0.0724) [4 per cell]
Pt (0.0000, 0.5000, 0.5715) [4 per cell]

Computed properties:
energy of formation	-0.867	eV/atom
uncorrected energy	-8.33	eV per atom
magnetic moment	17.68	μB per cell


(4)
A geometry-optimized Eu2Mo2O7 structure. Source: the Alexandria database, functional GGA-PBEsol.

Unit cell a=10.4062 b=10.4062 c=10.4062 alpha=90.00 beta=90.00 gamma=90.00
Space group Fd-3m (No. 227, origin choice 2)
One atom of each set of equivalent atoms:
Eu (0.0000, 0.0000, 0.0000) [16 per cell]
Mo (0.0000, 0.0000, 0.5000) [16 per cell]
O (0.0697, 0.3750, 0.8750) [48 per cell]
O (0.1250, 0.1250, 0.1250) [8 per cell]

Computed properties:
formation energy from raw total energies	-2.488	eV/atom
uncorrected energy	-9.89	eV per atom
magnetic moment	128.05	μB per cell


(5)
A geometry-optimized EuMo6S8 structure. Source: the Alexandria database, functional GGA-PBEsol.

Unit cell a=8.9919 b=8.9919 c=11.4177 alpha=90.00 beta=90.00 gamma=120.00
Space group R-3 (No. 148, hexagonal axes)
One atom of each set of equivalent atoms:
Eu (0.0000, 0.0000, 0.0000) [3 per cell]
'''
    At the International Workshop on the Mathematics of Climate Change and Natural Disasters - São José dos Campos, São Paulo State, Brazil (September 2017).
  • Adaptive virtual element methods for parabolic problems
    At Polytopal Element Methods in Mathematics and Engineering (POEMS) - University of Milano-Bicocca, Milan, Italy (June 2017).
  • A posteriori error estimates for virtual element methods
    At the Mathematics of Finite Elements and Applications (MAFELAP), in the minisymposium PDE Discretisation Methods for Polygonal and Polyhedral Meshes - Brunel University, London, UK (June 2016).
  • Virtual element methods for elliptic problems
    At the 26th Biennial Numerical Analysis Conference (NAConf), in the minisymposium Stable and accurate discretisations for convection-dominated problems - Strathclyde University, Glasgow, UK (June 2016).
  • A posteriori error estimates for virtual element methods
    Poster presented at Polytopal Element Methods in Mathematics and Engineering (POEMS) - Georgia Tech, Atlanta, Georgia, USA (2015).